Excerpt.
-- begin --
[1]
DFT (PBEsol) results for a relaxed TmMn6InSn5 crystal.

```
TmMn6InSn5
1.0
5.347 0.000 0.000
-2.674 4.631 0.000
0.000 0.000 8.902
Sn Mn In Tm
5 6 1 1
Direct
0.000 0.000 0.668 Sn
0.667 0.333 0.000 Sn
0.000 0.000 0.332 Sn
0.667 0.333 0.500 Sn
0.333 0.667 0.000 Sn
0.999 0.499 0.754 Mn
0.501 0.499 0.754 Mn
0.501 0.001 0.754 Mn
0.501 0.499 0.246 Mn
0.501 0.001 0.246 Mn
0.999 0.499 0.246 Mn
0.333 0.667 0.500 In
0.000 0.000 0.000 Tm
```

Output
total magnetization = 13.2 Bohr magnetons per cell
E_form = -98 meV per atom
space-group type = P-6m2, No. 187

---

[2]
DFT (PBEsol) results for a relaxed SrMnIn2 crystal.

```
SrMnIn2
1.0
3.707 0.000 0.000
0.000 3.707 0.000
0.000 0.000 7.436
In Sr Mn
2 1 1
Direct
0.500 0.500 0.286 In
0.000 0.000 0.045 In
0.500 0.500 0.738 Sr
0.000 0.000 0.430 Mn
```

Output
total magnetization = 3.9 Bohr magnetons per cell
E_form = 181 meV per atom
space-group type = P4mm, No. 99

---

[3]
DFT (PBEsol) results for a relaxed SrMnIn crystal.

```
SrMnIn
1.0
-2.367 -2.684 -0.558
2.682 -2.420 0.261
-1.068 2.160 5.890
In Mn Sr
1 1 1
Direct
0.037 0.037 0.073 In
0.631 0.631 0.261 Mn
0.333 0.333 0.666 Sr
```

Output
total magnetization = 3.7 Bohr magnetons per cell
E_form = 234 meV per atom
space-group type = I4mm, No. 107

---

[4]
DFT (PBEsol) results for a relaxed SrMn2In crystal.

```
SrMn2In
1.0
3.212 0.000 0.000
1.606 2.782 0.000
1.606 0.927 9.597
Sr Mn In
1 2 1
Direct
0.496 0.496 0.513 Sr
0.004 0.004 0.988 Mn
0.737 0.737 0.788 Mn
0.263 0.263 0.212 In
```

Output
total magnetization = 7.0 Bohr magnetons per cell
E_form = 742 meV per atom
space-group type = R3m, No. 160

---

Calculated total energy
In order: -89.02 -16.84 -13.88 -21.38
Unit: eV per cell


Entry from Alexandria: La3ScIn4 after structural relaxation (PBE).

Cell: 3.7732 3.7732 16.1203 Å, 90.00 90.00 90.00°
Positions (direct):
La: 0.0000 0.0000 0.0000
La: 0.0000 0.0000 0.2647
La: 0.0000 0.0000 0.7353
Sc: 0.0000 0.0000 0.5000
In: 0.5000 0.5000 0.1327
In: 0.5000 0.5000 0.3991
In: 0.5000 0.5000 0.6009
In: 0.5000 0.5000 0.8673

Output
As for the calculated volume: 229.5 Å³ per cell. Its uncorrected energy is -4.4987 eV/atom. As for the space group: No. 123.



Entry from Alexandria: La6ScIn5 after structural relaxation (PBE).

Cell: 5.9557 7.0827 8.7020 Å, 90.00 96.67 90.00°
Positions (direct):
La: 0.0000 0.2401 0.0000
La: 0.0000 0.7599 0.0000
La: 0.2943 0.2484 0.6576
La: 0.2943 0.7516 0.6576
La: 0.7057 0.2484 0.3424
La: 0.7057 0.7516 0.3424
Sc: 0.5000 0.5000 0.0000
In: 0.2045 0.0000 0.3218
In: 0.2151 0.5000 0.3085
In: 0.5000 0.0000 0.0000
In: 0.7849 0.5000 0.6915
In: 0.7955 0.0000 0.6782

Output
As for the calculated volume: 364.6 Å³ per cell. Its uncorrected energy is -4.5351 eV/atom. As for the space group: No. 10.



Entry from Alexandria: LaSc2In after structural relaxation (PBE).

Cell: 11.4629 11.4629 11.4629 Å, 16.62 16.62 16.62°
Positions (direct):
La: 0.0000 0.0000 0.0000
Sc: 0.0948 0.0948 0.0948
Sc: 0.9052 0.9052 0.9052
In: 0.5000 0.5000 0.5000

Output
As for the calculated volume: 107.5 Å³ per cell. Its uncorrected energy is -5.0466 eV/atom. As for the space group: No. 166.



Entry from Alexandria: LaSc2In after structural relaxation (PBE).

Cell: 11.1584 11.1584 11.1584 Å, 17.50 17.50 17.50°
Positions (direct):
La: 0.0000 0.0000 0.0000
Sc: 0.5017 0.5017 0.5017
Sc: 0.7574 0.7574 0.7574
In: 0.2450 0.2450 0.2450

Output
As for the calculated volume: 109.6 Å³ per cell. Its uncorrected energy is -5.1482 eV/atom. As for the space group: No. 160.



Entry from Alexandria: LaSc2In2 after structural relaxation (PBE).

Cell: 8.8752 8.8752 3.2481 Å, 90.00 90.00 90.00°
Positions (direct):
La: 0.0000 0.0000 0.0000
La: 0.5000 0.5000 0.0000
Sc: 0.1229 0.3771 0.0000
Sc: 0.3771 0.8771 0.0000
Sc: 0.6229 0.1229 0.0000
Sc: 0.8771 0.6229 0.0000
In: 0.1735 0.6735 0.5000
In: 0.3265 0.1735 0.5000
In: 0.6735 0.8265 0.5000
In: 0.8265 0.3265 0.5000

Output
-- stop --

What to do.
Quote everything above word for word.

Completed.
[1]
DFT (PBEsol) results for a relaxed TmMn6InSn5 crystal.

```
TmMn6InSn5
1.0
5.347 0.000 0.000
-2.674 4.631 0.000
0.000 0.000 8.902
Sn Mn In Tm
5 6 1 1
Direct
0.000 0.000 0.668 Sn
0.667 0.333 0.000 Sn
0.000 0.000 0.332 Sn
0.667 0.333 0.500 Sn
0.333 0.667 0.000 Sn
0.999 0.499 0.754 Mn
0.501 0.499 0.754 Mn
0.501 0.001 0.754 Mn
0.501 0.499 0.246 Mn
0.501 0.001 0.246 Mn
0.999 0.499 0.246 Mn
0.333 0.667 0.500 In
0.000 0.000 0.000 Tm
```

Output
total magnetization = 13.2 Bohr magnetons per cell
E_form = -98 meV per atom
space-group type = P-6m2, No. 187

---

[2]
DFT (PBEsol) results for a relaxed SrMnIn2 crystal.

```
SrMnIn2
1.0
3.707 0.000 0.000
0.000 3.707 0.000
0.000 0.000 7.436
In Sr Mn
2 1 1
Direct
0.500 0.500 0.286 In
0.000 0.000 0.045 In
0.500 0.500 0.738 Sr
0.000 0.000 0.430 Mn
```

Output
total magnetization = 3.9 Bohr magnetons per cell
E_form = 181 meV per atom
space-group type = P4mm, No. 99

---

[3]
DFT (PBEsol) results for a relaxed SrMnIn crystal.

```
SrMnIn
1.0
-2.367 -2.684 -0.558
2.682 -2.420 0.261
-1.068 2.160 5.890
In Mn Sr
1 1 1
Direct
0.037 0.037 0.073 In
0.631 0.631 0.261 Mn
0.333 0.333 0.666 Sr
```

Output
total magnetization = 3.7 Bohr magnetons per cell
E_form = 234 meV per atom
space-group type = I4mm, No. 107

---

[4]
DFT (PBEsol) results for a relaxed SrMn2In crystal.

```
SrMn2In
1.0
3.212 0.000 0.000
1.606 2.782 0.000
1.606 0.927 9.597
Sr Mn In
1 2 1
Direct
0.496 0.496 0.513 Sr
0.004 0.004 0.988 Mn
0.737 0.737 0.788 Mn
0.263 0.263 0.212 In
```

Output
total magnetization = 7.0 Bohr magnetons per cell
E_form = 742 meV per atom
space-group type = R3m, No. 160

---

Calculated total energy
In order: -89.02 -16.84 -13.88 -21.38
Unit: eV per cell


Entry from Alexandria: La3ScIn4 after structural relaxation (PBE).

Cell: 3.7732 3.7732 16.1203 Å, 90.00 90.00 90.00°
Positions (direct):
La: 0.0000 0.0000 0.0000
La: 0.0000 0.0000 0.2647
La: 0.0000 0.0000 0.7353
Sc: 0.0000 0.0000 0.5000
In: 0.5000 0.5000 0.1327
In: 0.5000 0.5000 0.3991
In: 0.5000 0.5000 0.6009
In: 0.5000 0.5000 0.8673

Output
As for the calculated volume: 229.5 Å³ per cell. Its uncorrected energy is -4.4987 eV/atom. As for the space group: No. 123.



Entry from Alexandria: La6ScIn5 after structural relaxation (PBE).

Cell: 5.9557 7.0827 8.7020 Å, 90.00 96.67 90.00°
Positions (direct):
La: 0.0000 0.2401 0.0000
La: 0.0000 0.7599 0.0000
La: 0.2943 0.2484 0.6576
La: 0.2943 0.7516 0.6576
La: 0.7057 0.2484 0.3424
La: 0.7057 0.7516 0.3424
Sc: 0.5000 0.5000 0.0000
In: 0.2045 0.0000 0.3218
In: 0.2151 0.5000 0.3085
In: 0.5000 0.0000 0.0000
In: 0.7849 0.5000 0.6915
In: 0.7955 0.0000 0.6782

Output
As for the calculated volume: 364.6 Å³ per cell. Its uncorrected energy is -4.5351 eV/atom. As for the space group: No. 10.



Entry from Alexandria: LaSc2In after structural relaxation (PBE).

Cell: 11.4629 11.4629 11.4629 Å, 16.62 16.62 16.62°
Positions (direct):
La: 0.0000 0.0000 0.0000
Sc: 0.0948 0.0948 0.0948
Sc: 0.9052 0.9052 0.9052
In: 0.5000 0.5000 0.5000

Output
As for the calculated volume: 107.5 Å³ per cell. Its uncorrected energy is -5.0466 eV/atom. As for the space group: No. 166.



Entry from Alexandria: LaSc2In after structural relaxation (PBE).

Cell: 11.1584 11.1584 11.1584 Å, 17.50 17.50 17.50°
Positions (direct):
La: 0.0000 0.0000 0.0000
Sc: 0.5017 0.5017 0.5017
Sc: 0.7574 0.7574 0.7574
In: 0.2450 0.2450 0.2450

Output
As for the calculated volume: 109.6 Å³ per cell. Its uncorrected energy is -5.1482 eV/atom. As for the space group: No. 160.



Entry from Alexandria: LaSc2In2 after structural relaxation (PBE).

Cell: 8.8752 8.8752 3.2481 Å, 90.00 90.00 90.00°
Positions (direct):
La: 0.0000 0.0000 0.0000
La: 0.5000 0.5000 0.0000
Sc: 0.1229 0.3771 0.0000
Sc: 0.3771 0.8771 0.0000
Sc: 0.6229 0.1229 0.0000
Sc: 0.8771 0.6229 0.0000
In: 0.1735 0.6735 0.5000
In: 0.3265 0.1735 0.5000
In: 0.6735 0.8265 0.5000
In: 0.8265 0.3265 0.5000

Output